- - -
Version 1
VASP calculation (PBE) on crystalline Sr2La2W at its relaxed geometry.

Summary:
spin magnetization = 0.00 μB/f.u.
density = 5.66 g/cm3

Cell lengths 7.550, 7.550, 6.555 Å; angles 90.00, 90.00, 90.00 degrees
Sites, in units of the cell vectors:
La1 0.327 0.827 0.000
La2 0.673 0.173 0.000
La3 0.827 0.673 0.000
La4 0.173 0.327 0.000
Sr1 0.312 0.188 0.500
Sr2 0.688 0.812 0.500
Sr3 0.812 0.312 0.500
Sr4 0.188 0.688 0.500
W1 0.000 0.000 0.000
W2 0.500 0.500 0.000

=====

Version 2
VASP calculation (PBE) on crystalline Sr2La2W at its relaxed geometry.

Summary:
spin magnetization = 1.93 μB/f.u.
density = 5.82 g/cm3

Cell lengths 4.334, 4.334, 10.151 Å; angles 77.68, 77.68, 90.00 degrees
Sites, in units of the cell vectors:
W1 0.000 0.000 0.000
La1 0.578 0.578 0.844
La2 0.422 0.422 0.156
Sr1 0.250 0.750 0.500
Sr2 0.750 0.250 0.500

=====

The winner here is version 1, beating the second structure by 52.6 kJ/mol of atoms.

=====

Version 1
VASP calculation (PBE) on crystalline SrLaY2 at its relaxed geometry.

Summary:
spin magnetization = 0.00 μB/f.u.
density = 4.48 g/cm3

Cell lengths 5.961, 5.961, 5.961 Å; angles 60.00, 60.00, 60.00 degrees
Sites, in units of the cell vectors:
La1 0.500 0.500 0.500
Sr1 0.000 0.000 0.000
Y1 0.750 0.750 0.750
Y2 0.250 0.250 0.250

=====

Version 2
VASP calculation (PBE) on crystalline SrLaY2 at its relaxed geometry.

Summary:
spin magnetization = 0.00 μB/f.u.
density = 4.53 g/cm3

Cell lengths 6.490, 6.490, 3.731 Å; angles 90.00, 90.00, 109.29 degrees
Sites, in units of the cell vectors:
Y1 0.500 0.500 0.000
Y2 0.000 0.000 0.000
La1 0.500 0.000 0.500
Sr1 0.000 0.500 0.500

=====

Version 3
VASP calculation (PBE) on crystalline SrLaY2 at its relaxed geometry.

Summary:
spin magnetization = 0.02 μB/f.u.
density = 4.44 g/cm3

Cell lengths 3.742, 3.742, 10.804 Å; angles 90.00, 90.00, 90.00 degrees
Sites, in units of the cell vectors:
La1 0.000 0.000 0.473
Y1 0.000 0.000 0.027
Y2 0.500 0.500 0.244
Sr1 0.500 0.500 0.757

=====

Version 4
VASP calculation (PBE) on crystalline SrLaY2 at its relaxed geometry.

Summary:
spin magnetization = 1.12 μB/f.u.
density = 4.39 g/cm3

Cell lengths 4.947, 4.947, 12.976 Å; angles 79.01, 79.01, 90.00 degrees
Sites, in units of the cell vectors:
La1 0.750 0.250 0.500
La2 0.000 0.000 0.000
Y1 0.375 0.364 0.750
Y2 0.875 0.886 0.750
Y3 0.114 0.625 0.250
Y4 0.636 0.125 0.250
Sr1 0.250 0.750 0.500
Sr2 0.500 0.500 0.000

=====

The winner here is version 3, beating the second structure by 5.1 kJ/mol of atoms.

=====

Version 1
VASP calculation (PBE) on crystalline SrLaY2 at its relaxed geometry.

Summary:
spin magnetization = 0.00 μB/f.u.
density = 4.43 g/cm3

Cell lengths 3.636, 3.636, 12.247 Å; angles 90.00, 90.00, 110.45 degrees
Sites, in units of the cell vectors:
Y1 0.000 0.000 0.022
Y2 0.500 0.500 0.243
Sr1 0.500 0.500 0.759
La1 0.000 0.000 0.477

=====

Version 2
VASP calculation (PBE) on crystalline SrLaY2 at its relaxed geometry.

Summary:
spin magnetization = 0.02 μB/f.u.
density = 4.44 g/cm3

Cell lengths 7.187, 7.187, 7.187 Å; angles 147.78, 129.48, 61.20 degrees
Sites, in units of the cell vectors:
La1 0.483 0.483 0.000
Y1 0.015 0.015 0.000
Y2 0.242 0.742 0.500
Sr1 0.760 0.260 0.500

=====

The winner here is version 1, beating the second structure by 2.8 kJ/mol of atoms.

=====

Version 1
VASP calculation (PBE) on crystalline SrLa2Y at its relaxed geometry.

Summary:
spin magnetization = 0.00 μB/f.u.
density = 4.88 g/cm3

Cell lengths 6.560, 6.560, 6.560 Å; angles 131.60, 131.60, 70.86 degrees
Sites, in units of the cell vectors:
La1 0.250 0.750 0.500
La2 0.000 0.000 0.000
Sr1 0.500 0.500 0.000
Y1 0.750 0.250 0.500

=====

Version 2
VASP calculation (PBE) on crystalline SrLa2Y at its relaxed geometry.

Summary:
spin magnetization = 1.06 μB/f.u.
density = 4.82 g/cm3

Cell lengths 6.051, 6.051, 6.051 Å; angles 60.00, 60.00, 60.00 degrees
Sites, in units of the cell vectors:
Y1 0.750 0.750 0.750
La1 0.000 0.000 0.000
La2 0.250 0.250 0.250
- - -

Now quote only the lines above with the word "La4" in them.

La4 0.173 0.327 0.000